this is only for certain models, however. I have imported functioning models/textures many times before, but it seems only certain textures are applied. usually it works when there is a model and a single .tga texture. but if never works if it uses multiple files for texture like the normal, diffuse, and emmisive types. do I do something different for these or am I doing something wrong?
this is what ive ben doing
import texture first
close editor and save
import model
make sure its in root
Each model has texture path it's searching the textures at. It's the path that you create inside import editor. Usually it's Assets/Textures, sometimes it's root. So, place the texture in the correct place. To see model's texture path, open the .m3 file in any text editor (maybe not any, at least notepad plus plus does it coprrect), it will look like shit, but search for ".dds", it will show you path/ string, where the path part is what you need.
Ok one sec il. Try to import them exactly like that....
I didn't have those folders in like that, I navigated to the bottom of the path which dumped everything into root even though it was saved under textures
this is only for certain models, however. I have imported functioning models/textures many times before, but it seems only certain textures are applied. usually it works when there is a model and a single .tga texture. but if never works if it uses multiple files for texture like the normal, diffuse, and emmisive types. do I do something different for these or am I doing something wrong?
this is what ive ben doing import texture first close editor and save import model make sure its in root
Each model has texture path it's searching the textures at. It's the path that you create inside import editor. Usually it's Assets/Textures, sometimes it's root. So, place the texture in the correct place. To see model's texture path, open the .m3 file in any text editor (maybe not any, at least notepad plus plus does it coprrect), it will look like shit, but search for ".dds", it will show you path/ string, where the path part is what you need.
ok one sec ill try...
its in textures, I put it in both root and textures and It wont work
DId you check model's texture path as I described?
yes. It brought up a mess of illegible text. I searched for ".dds" and I found what appeared to be the path "assets/textures/(texture name)"
(there where a bunch of them, each texture had one, all in textures though)
exactly this "assets/textures"? no capital letters? it may matter, usually it's "Assets/Textures"
### Molecular data that have nothing to do with the piece
/*
This record from OMol25 describes C45H50As2BF6HfN2S4 as an isolated structure. The level of theory is wB97M-V/def2-TZVPD.

Computed properties:
- LUMO level (spin up / spin down) (eV) = -0.22 / -0.43
- ΔE to the lowest compared entry with this formula, charge and spin (kJ/mol) = 0.0
- spin multiplicity = 2
- charge = 0
- strongest force on any atom (eV/A) = 3.6

Cartesian coordinates (Å):
Hf1 -0.040510 0.246861 -1.926322
As1 -1.066869 2.110604 -3.527615
As2 3.214462 0.599939 -2.770912
S1 -0.077826 -4.225053 -0.033283
S2 -0.958502 -2.251703 -2.024085
S3 1.066051 -1.451259 -0.122562
S4 -1.099855 1.816698 -0.399213
F1 1.786470 1.357316 -1.721614
F2 1.848805 -0.537515 -3.072378
F3 2.652935 1.646725 -4.068451
F4 4.390027 1.745962 -2.251995
F5 4.228705 -0.373810 -3.804374
F6 3.565671 -0.225813 -1.321232
N1 1.876059 -0.553710 2.430840
N2 -0.058485 -1.851110 2.653506
C1 1.278716 3.592390 1.112039
C2 -2.076064 3.177717 -1.097642
C3 -3.596021 5.041217 -0.910855
C4 -0.288908 -5.023815 5.170235
C5 -2.603485 -4.460329 3.328263
C6 0.080247 3.303399 -5.808832
C7 -1.088409 2.816647 -5.306437
C8 -4.265021 -0.705972 -2.896082
C9 2.904151 0.222093 1.868532
C10 -3.590719 -0.216926 0.817760
C11 4.164163 -1.977388 1.985449
C12 -1.326043 -3.880598 3.197509
C13 1.741172 2.904224 3.402910
C14 -4.002974 -1.664060 -3.899757
C15 -2.902001 3.967833 -0.317418
C16 5.043000 1.505543 0.688593
C17 -3.668977 -2.470989 2.531808
C18 -2.330848 0.563688 -3.543972
C19 4.152972 -0.484574 1.670459
C20 1.583002 2.421524 1.942702
C21 2.803752 1.577103 1.590464
C22 -1.283116 -2.600402 2.668055
C23 -0.045563 -2.778403 -0.697832
C24 3.864967 2.227558 0.955372
C25 -2.714065 4.483738 -3.051650
C26 -2.168530 0.412956 2.856031
C27 -2.899090 -1.484046 -4.769636
C28 0.440566 -1.364268 3.915961
C29 -2.159366 2.612760 -6.186637
C30 -0.841620 3.393776 -8.009223
C31 -2.018374 3.375505 -2.496604
C32 -1.990610 2.867746 -7.512009
C33 -2.102299 -0.376318 -4.621201
C34 -0.209536 -4.746345 3.703188
C35 1.202198 -4.524197 3.385253
C36 4.831612 -2.740038 0.748554
C37 1.525615 -0.550719 3.762838
C38 -2.420653 -1.926318 2.206181
C39 -2.310850 -0.547449 1.644041
C40 5.178990 0.176281 1.040612
C41 -3.536033 5.265091 -2.232323
C42 4.924698 -2.403269 3.287454
C43 -3.762174 -3.761541 3.064527
C44 0.204459 3.690818 -7.158206
C45 -3.384939 0.383532 -2.726329
B1 0.920759 -1.300130 1.744365
H1 -3.854129 -1.105863 0.110994
H2 -4.200321 5.707997 -0.293783
H3 5.032892 -3.512009 3.325509
H4 5.873524 -1.978227 3.172329
H5 4.488279 -2.245679 -0.143392
H6 -1.059387 0.574567 3.075097
H7 -3.932469 6.183551 -2.632379
H8 1.591330 2.145023 4.218490
H9 0.306034 -5.874480 5.444223
H10 3.769085 3.245000 0.594538
H11 -4.551476 -1.989363 2.259598
H12 -4.585767 -0.067308 1.322947
H13 -1.189312 -0.353145 -5.283162
H14 0.779545 1.692860 1.883545
H15 1.066242 4.177734 -7.557488
H16 -0.147508 -1.665355 4.809211
H17 5.845996 1.971240 0.115879
H18 -5.139137 -0.787943 -2.247084
H19 0.333383 4.141575 1.278293
H20 1.410667 -4.348754 2.370168
*/
"Assets/Textures/(texture name)"
capital A in assests and capital T in textures
alright, upload the models you have problems with, i'll check them out
Ive been using this model and these textures I downloaded
Worked for me.
This is how it look in import editor.
Model's location doen't matter, only the textures'.
Ok one sec il. Try to import them exactly like that....
I didn't have those folders in like that, I navigated to the bottom of the path which dumped everything into root even though it was saved under textures